1. Made To Order

## What comes next are molecular data, not part of the article
+++
DFT (ωB97M-V/def2-TZVPD) results for a cluster of 6 separate species, C26H48ClN6O in total.

```
82
Properties=species:S:1:pos:R:3:lowdin_charge:R:1
C -1.1654 0.7578 -2.2480 -0.10
O -1.0634 0.8910 -3.6507 -0.19
C -0.4808 -0.2389 -4.2867 -0.23
C 1.0280 -0.0476 -4.4622 -0.17
C 1.8907 -0.9763 -3.5894 -0.21
C 2.6072 -0.2583 -2.4474 -0.23
C 3.4767 0.9389 -2.8987 -0.48
N 3.1923 2.1087 -2.0646 -0.60
Cl 2.7616 3.4547 -3.1216 0.23
H -2.1936 0.5722 -1.9583 0.04
H -0.8563 1.6904 -1.7859 0.08
H -0.5191 -0.0225 -1.8577 0.07
H -0.6836 -1.1445 -3.7212 0.10
H -0.9854 -0.3488 -5.2399 0.10
H 1.2681 -0.2421 -5.4982 0.06
H 1.2390 0.9958 -4.2657 0.09
H 1.2194 -1.7069 -3.1396 0.09
H 2.5611 -1.5642 -4.2005 0.10
H 1.8799 0.1111 -1.7407 0.07
H 3.2649 -0.9857 -1.9821 0.09
H 3.3501 1.1620 -3.9562 0.05
H 4.5302 0.6694 -2.7315 0.07
C -1.4882 -0.3445 2.2704 -0.11
C -2.4876 -1.4854 2.1084 -0.27
C -2.8892 -1.7204 0.6497 -0.18
C -3.5353 -0.5269 0.0926 -0.24
N -4.0397 0.4040 -0.3339 0.16
H -1.9017 0.6076 1.9427 0.05
H -1.2069 -0.2302 3.3180 0.06
H -0.5796 -0.5349 1.6965 0.08
H -3.3784 -1.2722 2.7050 0.11
H -2.0450 -2.4023 2.5075 0.09
H -3.5863 -2.5548 0.5685 0.11
H -2.0109 -1.9564 0.0470 0.12
C 0.4393 6.3584 1.2748 -0.12
C 1.4628 5.3573 0.7468 -0.26
C 0.8269 4.0724 0.2119 -0.19
C 0.0815 3.3841 1.2730 -0.23
N -0.4864 2.8462 2.1067 0.14
H -0.1168 5.9525 2.1220 0.06
H 0.9341 7.2698 1.6147 0.06
H -0.2766 6.6329 0.4973 0.07
H 2.1686 5.1105 1.5427 0.11
H 2.0364 5.8164 -0.0588 0.11
H 1.5973 3.3964 -0.1737 0.09
H 0.1433 4.2944 -0.6078 0.12
C -0.0298 -4.9760 6.2578 -0.14
C -0.7976 -4.1082 5.2716 -0.26
C -2.2409 -4.5727 5.0464 -0.19
C -2.2702 -5.9292 4.4860 -0.24
N -2.2929 -6.9845 4.0506 0.14
H 0.0671 -6.0051 5.9044 0.07
H 0.9715 -4.5839 6.4057 0.05
H -0.5272 -4.9929 7.2278 0.07
H -0.2718 -4.0902 4.3147 0.11
H -0.8153 -3.0822 5.6466 0.09
H -2.7475 -3.8972 4.3563 0.10
H -2.7985 -4.5718 5.9839 0.12
C 0.5621 0.5567 6.5593 -0.10
C -0.7070 0.2079 7.3291 -0.26
C -0.4276 -0.5036 8.6592 -0.19
C 0.2823 -1.7684 8.4338 -0.22
N 0.8347 -2.7443 8.2170 0.17
H 1.1202 -0.3389 6.2826 0.07
H 0.3168 1.0856 5.6387 0.07
H 1.2171 1.1975 7.1528 0.08
H -1.3439 -0.4236 6.7060 0.10
H -1.2672 1.1217 7.5345 0.11
H -1.3608 -0.7208 9.1789 0.11
H 0.1819 0.1239 9.3103 0.12
C 0.5655 0.2635 -10.8189 -0.12
C 0.2287 1.1133 -9.5984 -0.26
C 1.1382 0.8261 -8.4000 -0.18
C 1.0177 -0.5713 -7.9737 -0.26
N 0.9058 -1.6619 -7.6545 0.16
H 0.4295 -0.7991 -10.6136 0.07
H -0.0848 0.5214 -11.6558 0.07
H 1.5992 0.4209 -11.1334 0.07
H -0.8112 0.9413 -9.3147 0.11
H 0.3187 2.1697 -9.8583 0.11
H 0.8733 1.4633 -7.5556 0.12
H 2.1809 1.0219 -8.6524 0.12
```

LUMO energy ... 1.8 eV
Charge ... -1

=====

DFT (ωB97M-V/def2-TZVPD) results for a cluster of 4 separate species, C26H48F3NO12Si in total.

```
91
Properties=species:S:1:pos:R:3:lowdin_charge:R:1
C -3.8702 -1.2754 -3.2585 -0.06
C -3.8825 -0.1850 -2.1694 -0.26
O -4.0096 -0.7132 -0.8602 -0.14
C -2.8904 -1.4444 -0.3795 -0.17
C -1.8124 -0.5118 0.1810 -0.18
O -0.5874 -1.1322 0.5411 -0.14
+++
    Date: 8/28/2015, Categories: Love Stories, Author: prettygirl36, Source: LushStories
[Misplaced calculated molecules]
'''
160
Properties=species:S:1:pos:R:3:lowdin_charge:R:1 method="wB97M-V/def2-TZVPD" largest_force_ev_per_a=0.7 e_lumo_ev=3.375 gap_ev=4.8 e_tot_ev=-148350.576 total_charge=-2
Sn -0.61100 -0.26103 0.31146 0.85
C 0.88108 2.57393 2.82344 -0.24
Si 1.31636 1.55587 1.24635 0.52
C 3.05071 0.81059 1.85182 -0.27
C 3.79780 1.59140 2.75207 -0.14
C 4.96888 1.16214 3.34594 -0.09
C 5.44082 -0.11463 3.09459 -0.10
C 4.73271 -0.93263 2.23883 -0.15
C 3.55875 -0.50113 1.60243 -0.38
P 2.73258 -1.68481 0.45353 1.10
C 2.90203 -3.28591 1.37133 -0.35
C 2.75768 -3.33004 2.75917 -0.12
C 2.66407 -4.53669 3.43696 -0.09
C 2.70515 -5.73611 2.74121 -0.11
C 2.86822 -5.71094 1.36357 -0.09
C 2.96757 -4.50250 0.69071 -0.09
C 4.01149 -1.97220 -0.84955 -0.34
C 5.31458 -1.48152 -0.81955 -0.08
C 6.20846 -1.77670 -1.83978 -0.09
C 5.81267 -2.55365 -2.91845 -0.10
C 4.50432 -3.00902 -2.98536 -0.08
C 3.61351 -2.70787 -1.96710 -0.12
C 1.79395 3.05597 0.09025 -0.31
C 3.05956 3.65642 0.18168 -0.12
C 3.41586 4.77730 -0.54399 -0.10
C 2.49784 5.36273 -1.40172 -0.10
C 1.24223 4.80248 -1.52002 -0.12
C 0.87550 3.65921 -0.79660 -0.40
P -0.86530 3.07388 -0.94432 1.09
C -1.71245 4.44055 -0.04121 -0.34
C -1.03182 5.39161 0.71967 -0.08
C -1.72314 6.36386 1.42969 -0.10
C -3.10713 6.40912 1.38861 -0.11
C -3.79831 5.45432 0.65692 -0.09
C -3.10987 4.46933 -0.03575 -0.12
C -1.19930 3.50665 -2.70780 -0.35
C -2.25786 4.29402 -3.15361 -0.09
C -2.49393 4.46689 -4.51195 -0.10
C -1.68015 3.85312 -5.45071 -0.11
C -0.61756 3.06947 -5.01851 -0.07
C -0.38437 2.90008 -3.66474 -0.08
H 1.42482 3.52142 2.88170 0.01
H 1.07576 1.99928 3.73336 0.02
H -0.18932 2.79999 2.81444 0.02
H 3.43143 2.57860 3.00824 0.08
H 5.50787 1.81920 4.01969 0.10
H 6.34717 -0.47477 3.56735 0.09
H 5.08579 -1.94311 2.06766 0.10
H 2.72075 -2.40672 3.32266 0.09
H 2.54466 -4.53407 4.51398 0.10
H 2.60776 -6.67971 3.26427 0.09
H 2.90486 -6.63772 0.80304 0.10
H 3.10532 -4.51573 -0.38297 0.09
H 5.63767 -0.84616 -0.00615 0.09
H 7.21828 -1.38558 -1.79117 0.09
H 6.51162 -2.78234 -3.71410 0.09
H 4.16241 -3.57440 -3.84262 0.10
H 2.57949 -3.01521 -2.06518 0.09
H 3.80852 3.20609 0.81998 0.08
H 4.41210 5.19431 -0.44266 0.09
H 2.75339 6.25242 -1.96564 0.09
H 0.51445 5.27319 -2.17063 0.11
H 0.04902 5.37594 0.76201 0.09
H -1.17184 7.08566 2.02101 0.09
H -3.64699 7.16978 1.94024 0.09
H -4.88054 5.45168 0.65091 0.10
H -3.66156 3.68229 -0.53881 0.10
H -2.90396 4.79311 -2.44489 0.08
H -3.32843 5.07931 -4.83358 0.09
H -1.87939 3.96895 -6.50949 0.09
H 0.02517 2.56864 -5.73199 0.10
H 0.43815 2.27871 -3.34468 0.07
C 3.10900 1.62951 -2.41762 -0.03
C 2.21961 0.80383 -3.31221 -0.39
C 2.49835 0.75341 -4.67043 -0.11
C 1.59919 0.05765 -5.48071 -0.14
C 0.50728 -0.54796 -4.92344 -0.06
C 0.27284 -0.49831 -3.50063 -0.46
N 1.17380 0.20786 -2.73459 0.12
N -0.75518 -1.08820 -2.90355 -0.07
Si -2.24619 -1.55891 -3.55250 0.32
C -3.09915 -2.74423 -2.36072 -0.19
C -2.27006 -2.52135 -5.21181 -0.21
C -3.38228 -0.09020 -3.83465 -0.18
H 4.14890 1.56919 -2.73711 0.07
H 3.02696 1.30285 -1.38361 0.05
'''

    ... just be quiet and eat? You should be thanking me that I'm permitting you to live in the first place." I took out the bread and began slapping pieces of meat on it. I made my sandwich and took a bite. With a mouth full of food, I asked, "You got anything to drink?" He opened the refrigerator again and threw me a can of diet soda. "Diet?" I asked. "Drink it or die of thirst." I opened the can and took a gulp. I finished my lunch. He waited patiently. As soon as I took the last bite, he grabbed my plate and placed it in the sink. He pointed to a chair in the living room. "Sit down." "I like to stand." "It wasn't a request." I sighed, walked over and sat. He took a rope out of the kitchen drawer and walked over. I jumped up. "Oh no. You are not tying me up." "I need to go out and you need to stay here." "No, you need to let me go so I can get back to work. You know what a job is, don't you, or is this what you do for a living?" "You don't need to worry about what I do. All you need to worry is about staying alive." He took my hand and led me to the window. "See that car out there?" I nodded "Well, they are after me and anyone associated with me." I was too exhausted to get upset. "Great, so that means..." I plopped down in the chair. He took out the rope. "You know you don't have to do that. I'm not going anywhere." I heard him snicker and he smiled. "I wasn't trying to be funny." I didn't realize that he was tying me to the chair as the conversation was continuing. He ...
These records of molecules were left in the text by mistake:
____________
{"formula": "C48H127N9O15", "method": "ωB97M-V with the def2-TZVPD basis set", "elements": ["C", "O", "C", "C", "C", "N", "H", "H", "H", "H", "H", "H", "H", "H", "H", "H", "H", "C", "O", "C", "C", "C", "N", "H", "H", "H", "H", "H", "H", "H", "H", "H", "H", "H", "C", "O", "C", "C", "C", "N", "H", "H", "H", "H", "H", "H", "H", "H", "H", "H", "H", "C", "O", "C", "C", "C", "N", "H", "H", "H", "H", "H", "H", "H", "H", "H", "H", "H", "C", "O", "C", "C", "C", "N", "H", "H", "H", "H", "H", "H", "H", "H", "H", "H", "H", "C", "O", "C", "C", "N", "C", "C", "O", "C", "H", "H", "H", "H", "H", "H", "H", "H", "H", "H", "H", "H", "H", "H", "H", "C", "O", "C", "C", "N", "C", "C", "O", "C", "H", "H", "H", "H", "H", "H", "H", "H", "H", "H", "H", "H", "H", "H", "H", "C", "O", "C", "C", "N", "C", "C", "O", "C", "H", "H", "H", "H", "H", "H", "H", "H", "H", "H", "H", "H", "H", "H", "H", "C", "O", "C", "C", "N", "C", "C", "O", "C", "H", "H", "H", "H", "H", "H", "H", "H", "H", "H", "H", "H", "H", "H", "H", "C", "C", "O", "H", "H", "H", "H", "H", "H", "C", "C", "O", "H", "H", "H", "H", "H", "H"], "positions_angstrom": [[-4.5817, 1.3566, 4.7778], [-4.1239, 0.0247, 4.7677], [-2.9084, -0.2679, 4.0713], [-2.7867, -1.7619, 3.8240], [-2.7919, -2.6626, 5.0351], [-1.4969, -1.9933, 3.1636], [-5.5432, 1.3292, 5.2906], [-4.8206, 1.5943, 3.7412], [-3.9072, 2.0197, 5.3194], [-2.9668, 0.1941, 3.0857], [-1.9804, 0.0172, 4.5669], [-3.6243, -2.0093, 3.1719], [-2.7119, -3.6807, 4.6540], [-3.7217, -2.7037, 5.6024], [-1.8633, -2.6776, 5.6056], [-1.4036, -1.2003, 2.5450], [-0.6983, -1.9159, 3.7770], [-4.2963, 3.8113, 1.1436], [-4.1586, 4.4585, 2.4567], [-4.6673, 5.7528, 2.7710], [-5.8904, 5.6094, 3.6686], [-6.6365, 6.9263, 3.9762], [-5.6294, 5.1334, 5.0332], [-4.2167, 2.7354, 1.2995], [-3.5262, 4.0681, 0.4162], [-5.3002, 3.8963, 0.7277], [-4.0102, 6.4907, 3.2313], [-4.9363, 6.0426, 1.7553], [-6.5000, 4.9075, 3.0995], [-7.6138, 6.9263, 4.4590], [-6.8524, 7.4176, 3.0274], [-6.0360, 7.6641, 4.5082], [-4.9567, 4.3820, 4.9794], [-5.1567, 5.7976, 5.6294], [-2.9870, -6.1561, -3.1363], [-3.5925, -6.8641, -2.0299], [-3.9844, -6.0044, -0.8997], [-5.2091, -5.0660, -1.1377], [-5.7100, -4.4541, 0.1498], [-6.3065, -5.8489, -1.7463], [-2.2899, -5.3475, -2.9166], [-3.8467, -5.6722, -3.5998], [-2.5536, -6.8795, -3.8270], [-4.1794, -6.7949, -0.1750], [-3.0874, -5.4377, -0.6502], [-5.1254, -4.2657, -1.8730], [-5.7630, -5.1149, 1.0151], [-6.7553, -4.1465, 0.1760], [-5.1545, -3.6579, 0.6453], [-6.1559, -6.0956, -2.7141], [-6.2591, -6.7311, -1.2569], [-0.9587, -3.9482, -5.2772], [0.2568, -4.3715, -4.6702], [1.1835, -5.0279, -5.5455], [0.7529, -6.4460, -5.9664], [0.6260, -7.4246, -4.6824], [1.7207, -7.0462, -6.9401], [-1.6407, -4.5666, -5.8608], [-0.8799, -3.2062, -6.0718], [-1.5203, -3.5707, -4.4226], [1.2996, -4.3072, -6.3550], [2.2083, -4.9843, -5.1768], [-0.2022, -6.3743, -6.4869], [1.5406, -7.8861, -4.3101], [-0.0151, -8.1914, -5.1172], [0.1888, -7.0164, -3.7712], [2.4250, -7.5115, -6.3856], [1.3654, -7.7019, -7.6212], [-1.3611, 1.3615, 0.8999], [-1.3073, -0.0562, 0.7875], [-1.0089, -0.5943, -0.4881], [-0.7946, -2.1470, -0.2896], [-0.3154, -2.8554, -1.6466], [-2.0432, -2.7098, 0.2354], [-2.0510, 1.4662, 1.7373], [-1.7934, 1.8772, 0.0424], [-0.3497, 1.6849, 1.1461], [-1.8744, -0.4625, -1.1374], [-0.1306, -0.1030, -0.9068], [0.0274, -2.2183, 0.4227], [0.2819, -2.1479, -2.2217], [-1.2087, -3.1634, -2.1900], [0.3296, -3.7322, -1.5890], [-2.0560, -3.7188, 0.1924], [-2.1603, -2.3489, 1.1714], [2.6909, -1.4655, 0.7988], [2.8022, -0.8813, 2.0748], [1.5626, -0.3081, 2.5184], [1.3444, -0.1783, 4.0495], [1.4176, -1.4802, 4.6841], [1.2323, -1.3647, 6.1453], [1.6661, -2.6392, 6.9440], [3.0409, -2.7247, 6.7051], [3.5033, -4.0122, 7.0836], [3.5744, -1.1739, 0.2310], [1.7422, -1.1457, 0.3677], [2.6660, -2.5472, 0.9309], [0.7547, -0.8365, 2.0122], [1.3240, 0.6528, 2.0625], [0.5022, 0.4455, 4.3489], [2.2053, 0.4113, 4.3645], [2.2636, -2.0076, 4.5217], [0.2044, -1.1387, 6.4289], [1.8999, -0.5670, 6.4710], [1.0965, -3.5287, 6.6751], [1.5671, -2.4927, 8.0195], [4.4374, -4.3570, 6.6402], [2.8219, -4.8610, 7.0261], [3.8879, -3.9214, 8.0995], [4.6520, 2.0748, -7.0103], [5.1498, 1.2549, -5.9496], [5.9827, 2.0938, -5.1007], [5.1410, 2.9773, -4.1982], [4.3831, 2.1726, -3.3069], [2.9813, 2.2916, -3.5229], [2.1035, 1.4577, -2.5097], [2.2929, 0.0603, -2.2286], [2.6070, -0.7506, -3.3685], [4.2248, 1.2607, -7.5959], [5.4422, 2.4258, -7.6740], [3.9624, 2.8551, -6.6883], [6.7002, 2.7419, -5.6039], [6.6046, 1.5066, -4.4251], [4.7140, 3.8209, -4.7406], [5.8365, 3.5734, -3.6074], [4.5500, 1.1773, -3.3460], [2.7650, 2.0056, -4.5522], [2.7469, 3.3535, -3.5970], [1.1289, 1.4431, -2.9977], [2.0194, 1.9304, -1.5311], [1.6543, -0.8804, -3.8818], [2.9630, -1.7342, -3.0621], [3.3038, -0.2685, -4.0542], [-0.6434, 5.1449, 1.0513], [-0.6567, 4.4547, -0.1949], [0.1764, 4.9876, -1.1820], [-0.4288, 6.1168, -2.0593], [-1.5331, 5.5192, -2.8233], [-1.9922, 6.3542, -3.8560], [-3.3512, 5.8867, -4.5379], [-4.5228, 6.2802, -3.7428], [-5.8037, 6.1287, -4.2871], [0.2110, 4.8864, 1.6767], [-1.5383, 4.8067, 1.5737], [-0.7350, 6.2087, 0.8320], [0.4550, 4.2084, -1.8914], [1.1708, 5.1753, -0.7769], [0.3311, 6.4975, -2.7418], [-0.6819, 6.9962, -1.4672], [-2.2850, 5.2118, -2.2232], [-1.2677, 6.2889, -4.6677], [-2.1488, 7.4005, -3.5936], [-3.3783, 4.8081, -4.6928], [-3.4249, 6.4577, -5.4635], [-5.8892, 6.3225, -5.3563], [-6.5156, 6.7772, -3.7766], [-6.0734, 5.0836, -4.1351], [11.4015, 1.8672, 2.9198], [10.0382, 1.8871, 2.6588], [9.2472, 2.3609, 3.7158], [7.7708, 2.7334, 3.3302], [7.1900, 1.4395, 2.8601], [5.9643, 1.6891, 2.0027], [4.8746, 2.5565, 2.6152], [3.7375, 2.7615, 1.7172], [2.5802, 3.2434, 2.2902], [11.6514, 1.1337, 3.6863], [11.8367, 2.7804, 3.3258], [11.9226, 1.5920, 2.0029], [9.8514, 3.0065, 4.3531], [9.2143, 1.5098, 4.3961], [7.7880, 3.3689, 2.4448], [7.2354, 3.1346, 4.1907], [7.7630, 0.7114, 2.4580], [5.5121, 0.7229, 1.7787], [6.4122, 2.1040, 1.0997], [5.2616, 3.5518, 2.8336], [4.6374, 2.0008, 3.5223], [2
____________
    ... finished and walked to the door. "Wait a minute. What if I have to go to the bathroom?" "Cross your legs." He walked out and locked the door behind him. I sat there for what seemed like hours and began to think. It was the only thing I could do since I was tied up. His face was embedded in my mind, especially his eyes. I knew I had seen him before. The deli? No. On the street? I didn't think so, and then it finally dawned on me. He was a customer that came in the store I worked at. I thought more about the snicker and smile he gave me earlier. I remembered him, and I knew now he took me for a reason. I waited for him to walk through the door so I could reveal what I knew. I was far from being afraid. I was annoyed more than anything. He finally walked in and smiled at me. I glared at him as he walked over and untied me. I sat there motionless. "I thought you might have to go." He nodded towards the bathroom. "You were in the store last week," I blurted out. "I'm in a lot of stores." "Cut the crap. You know what I mean." He ignored me and pulled me up. "Hey, what are you doing?" He pushed me toward the bathroom. "Do your business and we'll talk." I stood there for a minute. I was dying. I had to go. But I didn't like being told what to do. He placed his hands on my shoulders and whispered, "Go, or I will talk about everything water related." That was all I needed to hear as I hurried inside and slammed the door. "Make sure you wash your hands," I heard him call from behind it. I ...